File >
Record 1
Molecular formula: C4HF6NO3S
Method: DFT, ωB97M-V with the def2-TZVPD basis set

Geometry as XYZ:
```
16
C4HF6NO3S | the OMol25 dataset | ωB97M-V with the def2-TZVPD basis set
C -1.41377 -1.28166 0.74712
C -1.47034 -0.30522 -0.29785
C -2.19032 0.97254 -0.41475
C 2.59735 0.76780 0.11588
N 0.08397 -1.64414 0.60894
O -2.18924 -1.92206 1.43372
O 0.83137 -0.65837 -1.76737
O 1.22264 0.70411 0.28943
F -3.48293 0.84806 -0.64716
F -2.20688 1.60669 0.75933
F -1.53988 1.79698 -1.32952
F 3.03101 1.18788 -1.04240
F 3.03291 1.48139 1.10741
F 3.09795 -0.48755 0.36088
S 0.26958 -0.43703 -0.50304
H 0.32657 -2.62942 0.57936
```

LUMO level (hartree): -0.00554
Frontier orbital gap (eV): 10.33
E_HOMO (eV): -10.5

Atomic partial charges in e from the Mulliken method, atoms 1 to 4: 0.263 -0.234 0.953 0.852



Record 2
Molecular formula: C27H35CrN4O6P
Method: DFT, ωB97M-V with the def2-TZVPD basis set

Geometry as XYZ:
```
74
C27H35CrN4O6P | the OMol25 dataset | ωB97M-V with the def2-TZVPD basis set
O 0.23089 -0.04521 -4.16270
H -0.23391 -0.06262 -5.01144
Cr 0.84951 -0.36148 0.33225
N 0.34236 1.43533 0.90702
N 1.95863 0.65548 -0.94023
N -0.82519 -0.98960 1.15604
N 0.39384 -1.82454 -0.90690
O -0.62938 1.85198 1.66834
O -1.49366 -0.47056 2.21428
O 0.85694 -2.01352 -2.17698
O 2.38086 0.28016 -2.10884
C 2.14674 1.94490 -0.51669
C 1.32240 2.32394 0.57327
C -1.21541 -2.20345 0.74160
C -0.55292 -2.66190 -0.43686
C 1.37215 3.59446 1.33871
H 1.74706 3.38678 2.35328
H 0.37939 4.05522 1.44178
H 2.04162 4.30962 0.85633
C 3.06071 2.85982 -1.24007
H 2.73307 2.95956 -2.27965
H 4.10467 2.52113 -1.24181
H 3.02396 3.84948 -0.78200
C -2.21407 -2.98574 1.51484
C -0.90116 -3.97098 -1.05448
H -2.85332 -2.34607 2.13819
H -1.69346 -3.69888 2.17369
H -2.85032 -3.55975 0.83287
H -0.47069 -4.03602 -2.06156
H -1.99624 -4.07595 -1.10415
H -0.53149 -4.80336 -0.42982
H -1.26212 0.54990 2.11317
H 1.47444 -1.22088 -2.33895
C -0.64952 0.55988 -3.21092
H -0.05990 1.22478 -2.57633
H -1.09486 -0.21926 -2.58557
H -1.44722 1.11960 -3.72029
O -3.33474 2.02819 -0.40807
H -3.35803 1.10526 -0.73306
H -2.37653 2.14218 -0.24587
C 2.74926 2.28579 5.15654
C 3.83484 1.94233 4.34842
C 3.71908 0.91387 3.41609
C 2.50439 0.21561 3.27319
C 1.39767 0.60816 4.04948
C 1.53962 1.60037 5.01709
P 2.29771 -1.05350 1.98029
C 3.99638 -1.43688 1.50563
C 4.50819 -1.06744 0.25006
C 5.84622 -1.31435 -0.05338
C 6.67961 -1.95496 0.86540
C 6.18166 -2.29274 2.12813
C 4.84803 -2.04037 2.44656
C 1.70583 -2.61219 2.73180
C 1.79583 -3.78964 1.96200
C 1.23355 -4.98268 2.41412
C 0.55990 -5.02147 3.63797
C 0.46748 -3.85882 4.40807
C 1.05400 -2.66742 3.97411
H 2.84012 3.10083 5.87546
H 4.79014 2.45612 4.45437
H 4.59002 0.60681 2.83431
H 0.44077 0.09046 3.94492
H 0.70413 1.81767 5.68272
H 3.86167 -0.60102 -0.49162
H 6.23317 -1.01854 -1.02862
H 7.71705 -2.18035 0.60784
H 6.82426 -2.76702 2.86861
H 4.45656 -2.31021 3.42756
H 2.33117 -3.77280 1.01091
H 1.33761 -5.89221 1.81858
H 0.10159 -5.95313 3.98221
H -0.04837 -3.88659 5.37028
H 1.03735 -1.78841 4.61634
```

LUMO level (spin up / spin down) (hartree): -0.00108 / -0.02970
Frontier orbital gap (spin up / spin down) (eV): 6.67 / 6.07
Multiplicity: 5
E_HOMO (spin up / spin down) (eV): -6.7 / -6.9

Atomic partial charges in e from the Mulliken method, atoms 1 to 4: -0.494 0.307 -1.734 1.435



Record 3
Molecular formula: CH6NS
Method: DFT, ωB97M-V with the def2-TZVPD basis set

Geometry as XYZ:
```
9
CH6NS | the OMol25 dataset | ωB97M-V with the def2-TZVPD basis set
N -1.81577 0.75568 -0.19793
H -2.67478 0.31861 0.00267
H -0.99408 0.39734 -0.62640
H -2.07223 1.57544 -0.67815
C 1.52952 -0.55765 0.38597
S 1.14869 -0.48788 -1.41833
H 2.29013 0.17840 0.68970
H 0.65641 -0.48027 1.16194
H 1.93210 -1.69966 0.68053
```

LUMO level (hartree): 0.16418
Charge: -1
Frontier orbital gap (eV): 6.74
E_HOMO (eV): -2.3

Atomic partial charges in e from the Mulliken method, atoms 1 to 4: -0.573 0.134 0.210 0.165



Record 4
Molecular formula: C5H8N2
Assignment >
Write out only the last part of the rows above, starting with the line that has "1.44178".
Response >
H 0.37939 4.05522 1.44178
H 2.04162 4.30962 0.85633
C 3.06071 2.85982 -1.24007
H 2.73307 2.95956 -2.27965
H 4.10467 2.52113 -1.24181
H 3.02396 3.84948 -0.78200
C -2.21407 -2.98574 1.51484
C -0.90116 -3.97098 -1.05448
H -2.85332 -2.34607 2.13819
H -1.69346 -3.69888 2.17369
H -2.85032 -3.55975 0.83287
H -0.47069 -4.03602 -2.06156
H -1.99624 -4.07595 -1.10415
H -0.53149 -4.80336 -0.42982
H -1.26212 0.54990 2.11317
H 1.47444 -1.22088 -2.33895
C -0.64952 0.55988 -3.21092
H -0.05990 1.22478 -2.57633
H -1.09486 -0.21926 -2.58557
H -1.44722 1.11960 -3.72029
O -3.33474 2.02819 -0.40807
H -3.35803 1.10526 -0.73306
H -2.37653 2.14218 -0.24587
C 2.74926 2.28579 5.15654
C 3.83484 1.94233 4.34842
C 3.71908 0.91387 3.41609
C 2.50439 0.21561 3.27319
C 1.39767 0.60816 4.04948
C 1.53962 1.60037 5.01709
P 2.29771 -1.05350 1.98029
C 3.99638 -1.43688 1.50563
C 4.50819 -1.06744 0.25006
C 5.84622 -1.31435 -0.05338
C 6.67961 -1.95496 0.86540
C 6.18166 -2.29274 2.12813
C 4.84803 -2.04037 2.44656
C 1.70583 -2.61219 2.73180
C 1.79583 -3.78964 1.96200
C 1.23355 -4.98268 2.41412
C 0.55990 -5.02147 3.63797
C 0.46748 -3.85882 4.40807
C 1.05400 -2.66742 3.97411
H 2.84012 3.10083 5.87546
H 4.79014 2.45612 4.45437
H 4.59002 0.60681 2.83431
H 0.44077 0.09046 3.94492
H 0.70413 1.81767 5.68272
H 3.86167 -0.60102 -0.49162
H 6.23317 -1.01854 -1.02862
H 7.71705 -2.18035 0.60784
H 6.82426 -2.76702 2.86861
H 4.45656 -2.31021 3.42756
H 2.33117 -3.77280 1.01091
H 1.33761 -5.89221 1.81858
H 0.10159 -5.95313 3.98221
H -0.04837 -3.88659 5.37028
H 1.03735 -1.78841 4.61634
```

LUMO level (spin up / spin down) (hartree): -0.00108 / -0.02970
Frontier orbital gap (spin up / spin down) (eV): 6.67 / 6.07
Multiplicity: 5
E_HOMO (spin up / spin down) (eV): -6.7 / -6.9

Atomic partial charges in e from the Mulliken method, atoms 1 to 4: -0.494 0.307 -1.734 1.435



Record 3
Molecular formula: CH6NS
Method: DFT, ωB97M-V with the def2-TZVPD basis set

Geometry as XYZ:
```
9
CH6NS | the OMol25 dataset | ωB97M-V with the def2-TZVPD basis set
N -1.81577 0.75568 -0.19793
H -2.67478 0.31861 0.00267
H -0.99408 0.39734 -0.62640
H -2.07223 1.57544 -0.67815
C 1.52952 -0.55765 0.38597
S 1.14869 -0.48788 -1.41833
H 2.29013 0.17840 0.68970
H 0.65641 -0.48027 1.16194
H 1.93210 -1.69966 0.68053
```

LUMO level (hartree): 0.16418
Charge: -1
Frontier orbital gap (eV): 6.74
E_HOMO (eV): -2.3

Atomic partial charges in e from the Mulliken method, atoms 1 to 4: -0.573 0.134 0.210 0.165



Record 4
Molecular formula: C5H8N2